== To do ==
Your job: search the data further below for the word "GGA" and reproduce each line that has it.

== Listing ==
<<<
(a)
This record from Materials Project describes an optimized crystal structure of LiCo2P2O8. The functional is GGA+U.

Cell: 7.7863 5.4854 8.5387 Å, 90.00 103.72 90.00°
Last column: nearest neighbours and their distance in Å.
Space group Pc (No. 7)
Symmetry-distinct sites (fractional):
Li  0.0000  0.1616  0.0000 (multiplicity 2)  4 O 1.98-2.06
Co  0.1271  0.3443  0.3801 (multiplicity 2)  4 O 1.93-2.00
Co  0.5944  0.1515  0.6702 (multiplicity 2)  4 O 1.83-2.00
P  0.3648  0.1605  0.9170 (multiplicity 2)  4 O 1.52-1.58
P  0.8800  0.3402  0.6223 (multiplicity 2)  4 O 1.55-1.58
O  0.0013  0.1958  0.5357 (multiplicity 2)  1 P 1.55
O  0.2197  0.3275  0.9531 (multiplicity 2)  1 P 1.54
O  0.2958  0.0938  0.3638 (multiplicity 2)  1 P 1.52
O  0.4434  0.2810  0.7828 (multiplicity 2)  1 P 1.57
O  0.5203  0.1397  0.0730 (multiplicity 2)  1 P 1.58
O  0.6845  0.3488  0.5200 (multiplicity 2)  1 P 1.57
O  0.8513  0.1935  0.7738 (multiplicity 2)  1 P 1.58
O  0.9580  0.4027  0.1666 (multiplicity 2)  1 P 1.55


(b)
This record from Materials Project describes an optimized crystal structure of LiCo2P2O8. The functional is GGA+U.

Cell: 8.4334 5.2807 16.4952 Å, 90.00 104.29 90.00°
Last column: nearest neighbours and their distance in Å.
Space group Pc (No. 7)
Symmetry-distinct sites (fractional):
Li  0.0000  0.1476  0.0000 (multiplicity 2)  4 O 1.97-2.07
Li  0.4342  0.3393  0.7340 (multiplicity 2)  4 O 1.98-2.17
Co  0.0938  0.1839  0.7968 (multiplicity 2)  4 O 1.84-1.91
Co  0.1921  0.3358  0.5508 (multiplicity 2)  4 O 1.89-2.01
Co  0.6024  0.1745  0.3043 (multiplicity 2)  4 O 1.93-2.02
Co  0.6718  0.3146  0.0466 (multiplicity 2)  4 O 1.84-1.91
P  0.2885  0.3225  0.3630 (multiplicity 2)  4 O 1.52-1.59
P  0.3681  0.1692  0.1165 (multiplicity 2)  4 O 1.54-1.57
P  0.7857  0.3304  0.8639 (multiplicity 2)  4 O 1.52-1.57
P  0.8677  0.1834  0.6100 (multiplicity 2)  4 O 1.55
O  0.1729  0.1409  0.2987 (multiplicity 2)  1 P 1.58
O  0.1998  0.2953  0.0778 (multiplicity 2)  1 P 1.56
O  0.2264  0.3353  0.4417 (multiplicity 2)  1 P 1.52
O  0.2753  0.4111  0.8169 (multiplicity 2)  1 P 1.59
O  0.3427  0.1155  0.6350 (multiplicity 2)  1 P 1.56
O  0.4605  0.3097  0.1963 (multiplicity 2)  1 P 1.54
O  0.4656  0.2323  0.3803 (multiplicity 2)  1 P 1.53
O  0.4690  0.1920  0.0484 (multiplicity 2)  1 P 1.57
O  0.6476  0.1909  0.8000 (multiplicity 2)  1 P 1.55
O  0.7120  0.3483  0.5787 (multiplicity 2)  1 P 1.55
O  0.7657  0.2885  0.9553 (multiplicity 2)  1 P 1.57
O  0.7909  0.3912  0.3404 (multiplicity 2)  1 P 1.52
O  0.8159  0.0939  0.1219 (multiplicity 2)  1 P 1.55
O  0.9580  0.2054  0.8734 (multiplicity 2)  1 P 1.57
O  0.9657  0.2925  0.6946 (multiplicity 2)  1 P 1.55
O  0.9746  0.1894  0.5458 (multiplicity 2)  1 P 1.55


(c)
This record from Materials Project describes an optimized crystal structure of LiCo2P2O8. The functional is GGA+U.

Cell: 10.2091 5.0929 13.7358 Å, 90.00 90.00 90.00°
Last column: nearest neighbours and their distance in Å.
Space group Pca2_1 (No. 29)
Symmetry-distinct sites (fractional):
Li  0.2208  0.0495  0.0000 (multiplicity 4)  4 O 2.02-2.06
Co  0.0351  0.5590  0.0030 (multiplicity 4)  4 O 1.83-1.92
Co  0.2216  0.0539  0.2510 (multiplicity 4)  4 O 1.95-2.02
P  0.0290  0.9385  0.6267 (multiplicity 4)  4 O 1.52-1.59
P  0.2169  0.5508  0.3783 (multiplicity 4)  4 O 1.53-1.58
O  0.0017  0.6383  0.6114 (multiplicity 4)  1 P 1.57
O  0.0355  0.9226  0.0350 (multiplicity 4)  1 P 1.59
O  0.0371  0.9751  0.2209 (multiplicity 4)  1 P 1.52
O  0.0686  0.4911  0.3957 (multiplicity 4)  1 P 1.56
O  0.1777  0.9920  0.6263 (multiplicity 4)  1 P 1.54
O  0.2082  0.4388  0.9703 (multiplicity 4)  1 P 1.58
O  0.2404  0.4186  0.7839 (multiplicity 4)  1 P 1.53
O  0.2433  0.8509  0.3757 (multiplicity 4)  1 P 1.55


Which one is most stable, and which one is least stable? (c) is the most stable of them, while (a) is the least stable.


(a)
This record from Materials Project describes an optimized crystal structure of LiCo2P2O8. The functional is GGA+U.
>>>

== Result ==
This record from Materials Project describes an optimized crystal structure of LiCo2P2O8. The functional is GGA+U.
This record from Materials Project describes an optimized crystal structure of LiCo2P2O8. The functional is GGA+U.
This record from Materials Project describes an optimized crystal structure of LiCo2P2O8. The functional is GGA+U.
This record from Materials Project describes an optimized crystal structure of LiCo2P2O8. The functional is GGA+U.